Increased levels of glucose (sugar) in the blood (known as “hyperglycemia”) when the dog has been fasted, combined with the presence of glucose (sugar) in the urine (known as “glucosuria”)
Disorder of carbohydrate, fat, and protein metabolism caused by an absolute or relative insulin deficiency
The pancreas is an organ of the body, located near the upper small intestine; the pancreas produces insulin to regulate blood sugar
Type I diabetes mellitus is characterized by destruction of insulin-secreting pancreatic β-cells by the body’s own immune system (that is, it is an autoimmune destruction of the β-cells) and results in a dependence on insulin treatment (also known as “insulin-dependent diabetes mellitus” or “IDDM”)
Type II diabetes mellitus is characterized by a relative insulin deficiency (either inadequate insulin secretion or lack of response of the body to insulin [known as “insulin resistance”]); type II may result in “insulin-dependent diabetes mellitus” or “IDDM;” “non–insulin dependent diabetes mellitus” or “NIDDM;” or both through the course of the disease
Insulin-dependent diabetes mellitus or IDDM patients are prone to developing diabetic ketoacidosis (condition in which levels of acid are increased in the blood due to the presence of ketone bodies secondary to diabetes)
Non-insulin dependent diabetes mellitus or NIDDM patients may respond to treatment with medications administered by mouth to decrease blood glucose (known as “oral hypoglycemic agents”)
“Uncomplicated” diabetes mellitus is a designation that indicates the dog has diabetes mellitus, but does not have secondary problems (such as ketoacidosis, vomiting, or diarrhea) that makes the dog “more sick” and requires more aggressive treatment
Diabetes mellitus also is known as “sugar diabetes”
Familial (runs in certain families or lines of animals) associations in some breeds of dog



Breed Predilections

The keeshond, puli, miniature pinscher, and Cairn terrier are at higher risk than other breeds
The poodle, dachshund, miniature schnauzer, and beagle possibly are at higher risk than other breeds

Mean Age and Range

Mean, approximately 8 years of age; range, 4 to 14 years (excluding rare juvenile form)

Predominant Sex

Early signs—increased urination (known as “polyuria”) and increased thirst (known as “polydipsia”), increased appetite (known as “polyphagia”), and weight loss
Later signs—lack of appetite (known as “anorexia”), sluggishness (lethargy), depression, and vomiting
Enlargement of the liver (known as “hepatomegaly”)
Cataracts—less common finding
Genetic susceptibility
Infectious (viral) diseases
Immune-mediated pancreatic β-cell destruction
Inflammation of the pancreas (known as “pancreatitis”)
Diseases that increase the likelihood of developing diabetes mellitus (such as increased production of steroids by the adrenal glands [known as “hyperadrenocorticism” or “Cushing’s disease”] and a condition caused by excessive levels of growth hormone, leading to enlargement of bone and soft-tissues in the body [known as “acromegaly”])
Medications (such as steroids and progestogens [substance capable of producing the effects of the female hormone, progesterone])
Diestrus (time period following the end of standing heat [when the female is receptive to breeding] and when the female hormone, progesterone, is being secreted by the yellow body of the ovary) in the female dog (known as a “bitch”)
Most dogs with uncomplicated diabetes mellitus can be managed as outpatients; they are alert, hydrated, and eating and drinking without vomiting
Fluid therapy may be needed in some cases
Strenuous activity may lower insulin requirements
Consistent amount of activity each day is helpful
Avoid soft, moist foods because they cause increased glucose (sugar) in the blood following meals (known as “postprandial hyperglycemia”)
Non-obese dogs—feed a consistent diet that the pet will eat reliably; keep daily caloric intake constant
Obese dogs—reduce the caloric intake to 60% of the requirement for the animal’s ideal body weight (technique 1) or feed a high-fiber, low-calorie food in an amount similar to what the pet is accustomed to eating (technique 2); try to achieve the desired target weight over 2 to 4 months
Thin dogs—avoid reduced-calorie diet; starvation worsens ketoacidosis (condition in which levels of acid are increased in the blood due to the presence of ketone bodies secondary to diabetes) and immune function
Role of fiber—key role is in weight loss and obesity prevention; another benefit may be improved glycemic control; recommended diet is high in fiber, low in fat, and high in complex carbohydrates
Feed the pet half its daily food every 12 hours to coincide with twice-daily insulin injections or medications administered by mouth to decrease blood glucose or sugar (oral hypoglycemic agents); give animals on once-daily insulin injections half the food with the injection and the remainder in 8 to 10 hours or at the time of peak insulin activity, if that is known
Discuss the dietary needs and feeding protocol with your pet’s veterinarian
Intact females (that is, capable of reproducing) should have their ovaries and uterus removed surgically (known as a “spay” or “ovariohysterectomy”), when stable
Progesterone (a female hormone) secreted during diestrus (time period following the end of standing heat [when the female is receptive to breeding] and when progesterone is being secreted by the yellow body of the ovary) makes management of diabetes mellitus difficult

== Here the piece breaks off for records of molecules ==
-- begin --
Entry from the OMol25 dataset: C4H6F2 in the gas phase in a non-equilibrium geometry (ωB97M-V/def2-TZVPD).

Atoms and positions in Å:
C 0.216 0.466 0.958
C 0.200 -0.982 0.423
C -0.283 -0.518 -1.000
C -0.290 0.926 -0.442
H -0.496 0.663 1.838
H 1.279 -1.240 0.335
H -0.410 -1.691 1.074
H -1.266 -0.882 -1.430
H 0.556 -0.650 -1.704
H 0.501 1.543 -0.917
F 1.548 0.935 1.189
F -1.555 1.429 -0.325

Values from the calculation:
**Frontier orbital gap**: 11.939 eV
**Structure (SMILES)**: F[C@@H]1CC[C@H]1F
**Molecular weight**: 92.1 g/mol
**DFT total energy**: -9678.8782 eV
**Energy above the lowest of the compared OMol25 structures with the same formula, charge and spin**: 20.4 kcal/mol
**HOMO energy**: -10.748 eV

* * * * *

Below is a single C25H27NO7 molecule, with properties calculated with ωB97M-V/def2-TZVPD.

Computed properties:
* frontier orbital gap: 8.228 eV
* total energy: -42184.2929 eV
* SMILES string: C=CCOc1ccc(/C(O)=C2\C(=O)C(=O)N(CCCOC)[C@@H]2c2ccc(O)c(OC)c2)cc1

Positions of all 60 atoms, in Å:
1 C 1.3334 7.3501 -0.2773
2 C 2.6055 7.2399 0.0529
3 C 3.1166 6.6562 1.3404
4 O 2.1277 6.0964 2.1764
5 C 1.5895 4.8945 1.8558
6 C 0.6820 4.3722 2.7823
7 C 0.0934 3.1486 2.5684
8 C 0.4093 2.3967 1.4345
9 C -0.2321 1.0936 1.2468
10 O -1.5388 1.1014 1.5738
11 C 0.3954 -0.0375 0.8294
12 C 1.8078 -0.2434 0.5578
13 O 2.7273 0.5449 0.6015
14 C 1.9535 -1.7242 0.2035
15 O 2.9653 -2.3106 -0.1125
16 N 0.7216 -2.2740 0.2885
17 C 0.4594 -3.6722 0.0653
18 C 0.4376 -4.4698 1.3727
19 C 0.0401 -5.9176 1.1171
20 O -1.2992 -5.9453 0.6736
21 C -1.7548 -7.2389 0.3794
22 C -0.3327 -1.3580 0.6624
23 C -1.3986 -1.2849 -0.4107
24 C -2.7181 -1.6122 -0.1504
25 C -3.6690 -1.5310 -1.1556
26 C -3.3067 -1.1261 -2.4275
27 O -4.2387 -1.0480 -3.4070
28 C -1.9632 -0.7987 -2.6979
29 O -1.7163 -0.4166 -3.9920
30 C -0.3944 -0.0856 -4.3449
31 C -1.0239 -0.8783 -1.6897
32 C 1.2855 2.9339 0.4973
33 C 1.8677 4.1692 0.6993
34 H 0.5468 7.0079 0.3744
35 H 1.0266 7.7867 -1.2117
36 H 3.3896 7.5926 -0.6036
37 H 3.9054 5.9195 1.1299
38 H 3.5623 7.4588 1.9405
39 H 0.4620 4.9505 3.6658
40 H -0.6038 2.7505 3.2892
41 H -1.9553 0.2481 1.3861
42 H 1.2592 -4.0481 -0.5783
43 H -0.5026 -3.7799 -0.4423
44 H 1.4239 -4.4384 1.8366
45 H -0.2891 -4.0316 2.0586
46 H 0.1404 -6.5067 2.0424
47 H 0.6992 -6.3645 0.3566
48 H -2.7871 -7.1389 0.0506
49 H -1.1593 -7.6991 -0.4192
50 H -1.7135 -7.8871 1.2640
51 H -0.7879 -1.6933 1.6089
52 H -3.0142 -1.9488 0.8329
53 H -4.6997 -1.7840 -0.9692
54 H -3.7999 -0.7543 -4.2175
55 H -0.4275 0.1688 -5.4030
56 H 0.2825 -0.9317 -4.1952
57 H -0.0340 0.7759 -3.7749
58 H 0.0111 -0.6345 -1.8718
59 H 1.5035 2.3929 -0.4083
60 H 2.5291 4.5638 -0.0550

Cartesian forces, eV/Å:
C -0.06 0.04 -0.04
C 0.08 -0.08 0.28
C 0.23 0.13 -0.12
O -0.18 0.04 0.05
C -0.23 -0.42 0.03
C 0.16 0.24 -0.03
C 0.08 -0.10 -0.14
C -0.12 0.26 -0.03
C 0.27 -0.37 -0.12
O 0.08 0.08 0.06
C -0.42 -0.03 0.18
C 0.20 0.71 0.22
O -0.02 -0.50 -0.13
C 0.36 -0.44 -0.18
O 0.12 0.12 0.06
N -0.08 0.15 0.08
C 0.09 -0.29 0.12
-- stop --
== So much for the records of molecules ==

Medications presented in this section are intended to provide general information about possible treatment. The treatment for a particular condition may evolve as medical advances are made; therefore, the medications should not be considered as all inclusive.

Insulin—required for treatment of insulin-dependent diabetes mellitus; frequently utilized as part of management of non-insulin dependent diabetes mellitus; various types, including Vetsulin™ (porcine origin lente insulin); Humulin® N; Novolin® N; PZI VET® (Protamine Zinc Insulin—beef/pork insulin)
Insulin is administered by injection; your pet’s veterinarian will explain proper handling, storage, and administration of insulin
Glargine: rarely used in canine diabetics
Oral administration of medications to decrease blood glucose (hypoglycemic agents) generally is not recommended in canine diabetes
Glucose curve—“gold standard;” can provide information on insulin effectiveness, duration of action, and nadir (that is, the lowest blood glucose level achieved during dosing interval); used most frequently when establishing initial control, changing insulin type, dose, or frequency, or problem solving the diabetic that is difficult to control
Glycated proteins—“glycosylated hemoglobin” or “fructosamine;” glucose binds irreversibly to hemoglobin (glycosylated hemoglobin) or albumin (fructosamine); extent of binding or glycosylation directly related to blood glucose concentration over lifespan of protein in blood (5 to 9 weeks for hemoglobin, 1 to 3 weeks for fructosamine); not affected by stress of hospitalization or dietary intake on the day of obtaining blood samples for testing; requires single blood draw, best used for ongoing management of stable diabetic patient; fructosamine of 400 mg/dl is consistent with adequate glycemic control
At-home monitoring—urine glucose and/or blood glucose (lancet device for capillary blood from the ear) requires significant owner commitment and compliance; most useful as early indicator of need for reduction in dose with persistent absence of glucose (sugar) in the urine (glucosuria); should never be used as the sole basis for adjustment of insulin; minimal evidence supports the need for the extent of monitoring, frequency of dose adjustments, or exactness of control in pets as is required in the management of human diabetics
Clinical signs—assess the degree of polyuria/polydipsia, appetite, and body weight; if these are normal, the disease likely is well controlled
Prevent or correct obesity
Avoid unnecessary use of steroids or megestrol acetate in treating various medical conditions
Cataracts can occur, even with good glycemic control
Seizure or coma with insulin overdose
Low red-blood cell count (known as “anemia”) and presence of excessive hemoglobin in the plasma (known as “hemoglobinemia”) with severe low levels of phosphorus in the blood (known as “hypophosphatemia”), which can occur after initial insulin therapy; “hemoglobin” is the compound in red-blood cells that carries oxygen to the tissues of the body
Dogs have permanent disease
Prognosis with treatment is good; most animals have a normal life span
Discuss daily feeding and medication schedule, home monitoring, signs of low levels of glucose (sugar) in the blood (known as “hypoglycemia”) and what to do if hypoglycemia develops with your pet’s veterinarian
Understand when it is necessary to call or visit your pet’s veterinarian
Keep a chart of pertinent information about the pet, such as urine dipstick results, daily insulin dose, and weekly body weights